Icy Hands Taking Hold of Me
The Apple-Tree Throne
By Premee Mohamed

18 Dec, 2019
Premee Mohamed’s 2018 novella, The Apple-Tree Throne, is an alternate-history fantasy.
Having served overseas in the army of the Greater Republic of Britannia, Lieutenant Braddock returns home with a debilitating leg injury. His commanding officer, Major-General Theodore Wickersley, returns in a coffin. Having been promoted far beyond his competence: the Major-General made egregious mistakes that led to his death.
**Calculated crystals from another source follow**
=====
# NaInPb PBE optimized geometry
# - SG: Cmcm, No. 63
# - Formation enthalpy at 0 K: -113 meV/atom
# - Total energy: -2.701 eV/atom
# - Density of states at the Fermi level: 0.431 states/eV/atom
# - Total magnetic moment: 0.0 μB per formula unit
data_NaInPb
_chemical_formula_sum 'Na2 In2 Pb2'
_cell_length_a 7.5747
_cell_length_b 7.5747
_cell_length_c 5.0249
_cell_angle_alpha 90.00
_cell_angle_beta 90.00
_cell_angle_gamma 143.70
_symmetry_space_group_name_H-M 'P 1'
_symmetry_Int_Tables_number 1
_symmetry_space_group_name_Hall 'P 1'
loop_
_atom_site_label
_atom_site_type_symbol
_atom_site_fract_x
_atom_site_fract_y
_atom_site_fract_z
_atom_site_occupancy
Na1 Na 0.0848 0.9152 0.7500 1
Na2 Na 0.9152 0.0848 0.2500 1
In1 In 0.2518 0.7482 0.2500 1
In2 In 0.7482 0.2518 0.7500 1
Pb1 Pb 0.3994 0.6006 0.7500 1
Pb2 Pb 0.6006 0.3994 0.2500 1

---

# NaIn4Pb PBE optimized geometry
# - SG: Cmcm, No. 63
# - Formation enthalpy at 0 K: 78 meV/atom
# - Total energy: -2.586 eV/atom
# - Density of states at the Fermi level: 0.472 states/eV/atom
# - Total magnetic moment: 0.0 μB per formula unit
data_NaIn4Pb
_chemical_formula_sum 'Na2 In8 Pb2'
_cell_length_a 8.5665
_cell_length_b 8.5665
_cell_length_c 8.5322
_cell_angle_alpha 90.00
_cell_angle_beta 90.00
_cell_angle_gamma 142.84
_symmetry_space_group_name_H-M 'P 1'
_symmetry_Int_Tables_number 1
_symmetry_space_group_name_Hall 'P 1'
loop_
_atom_site_label
_atom_site_type_symbol
_atom_site_fract_x
_atom_site_fract_y
_atom_site_fract_z
_atom_site_occupancy
Na1 Na 0.1358 0.8642 0.7500 1
Na2 Na 0.8642 0.1358 0.2500 1
In1 In 0.0536 0.9464 0.2500 1
In2 In 0.2538 0.7462 0.0787 1
In3 In 0.2538 0.7462 0.4213 1
In4 In 0.5000 0.5000 0.0000 1
In5 In 0.5000 0.5000 0.5000 1
In6 In 0.7462 0.2538 0.5787 1
In7 In 0.7462 0.2538 0.9213 1
In8 In 0.9464 0.0536 0.7500 1
Pb1 Pb 0.3485 0.6515 0.7500 1
Pb2 Pb 0.6515 0.3485 0.2500 1

---

# NaIn4Pb2 PBE optimized geometry
# - SG: Cmmm, No. 65
# - Formation enthalpy at 0 K: -9 meV/atom
# - Total energy: -2.822 eV/atom
# - Density of states at the Fermi level: 0.383 states/eV/atom
# - Total magnetic moment: 0.0 μB per formula unit
data_NaIn4Pb2
_chemical_formula_sum 'Na1 In4 Pb2'
_cell_length_a 12.8286
_cell_length_b 12.8286
_cell_length_c 3.3757
_cell_angle_alpha 90.00
_cell_angle_beta 90.00
_cell_angle_gamma 158.88
_symmetry_space_group_name_H-M 'P 1'
_symmetry_Int_Tables_number 1
_symmetry_space_group_name_Hall 'P 1'
loop_
_atom_site_label
_atom_site_type_symbol
_atom_site_fract_x
_atom_site_fract_y
_atom_site_fract_z
_atom_site_occupancy
Na1 Na 0.0000 0.0000 0.0000 1
In1 In 0.1344 0.8656 0.0000 1
In2 In 0.4306 0.5694 0.5000 1
In3 In 0.5694 0.4306 0.5000 1
In4 In 0.8656 0.1344 0.0000 1
Pb1 Pb 0.2965 0.7035 0.5000 1
Pb2 Pb 0.7035 0.2965 0.5000 1

---

# Na3In2Pb8 PBE optimized geometry
# - SG: Cmmm, No. 65
# - Formation enthalpy at 0 K: 1 meV/atom
# - Total energy: -3.007 eV/atom
# - Density of states at the Fermi level: 0.417 states/eV/atom
# - Total magnetic moment: 0.0 μB per formula unit
=====
**So much for the calculated crystals**
If Wickersley had simply got himself killed through bold, stubborn ignorance, he might have been heroic. His refusal to believe official intelligence reports led to the deaths of most of the soldiers he commanded. The enemy permitted the handful of survivors to go their way once Wickersley himself was executed out of hand. The Republic can forgive officers who are imbeciles, but not officers who embarrass GRoB. Had he survived, Wickersley could have expected an early retirement and a cold shoulder at the club. As it is, he makes a convenient scapegoat (not least because he was actually the one at fault).
Braddock is the only subordinate soldier willing to speak at the funeral of the disgraced Wickersley. This charitable act is welcomed by the Wickersley clan. They are aware that Braddock has very limited means (the Republic is not keen on pensions) and offer him lodgings in a guesthouse on the family estate. It’s too good an offer to refuse.
The guesthouse was Wickersley’s home before he left on campaign. Braddock is soon on his way to replace Wickersley in the family circle. He also finds himself the target of the attractive Miss Meyers, who had matters gone differently might have been Mrs. Wickersley.
(Here the page breaks off for materials data)
____________
[1]
Sb2AsPt PBE-GGA relaxed; formation energy without anion corrections = 0.264 eV per atom
1.0
3.4212 0.0000 0.0000
0.0000 4.8272 0.0000
0.0000 0.0000 5.2235
Sb As Pt
2 1 1
direct
0.0000 0.0000 0.0000
0.5000 0.0000 0.5000
0.0000 0.5000 0.5000
0.5000 0.5000 0.0000

---

[2]
Nd2ThTc PBE-GGA relaxed; energy of formation from the pure elements = 437 meV per atom; E above lowest polymorph = 0.515 eV/atom
1.0
2.7716 1.6002 4.0002
-2.7716 1.6002 4.0002
0.0000 -3.2004 4.0002
Nd Th Tc
2 1 1
direct
0.2353 0.2353 0.2353
0.7647 0.7647 0.7647
0.5000 0.5000 0.5000
0.0000 0.0000 0.0000

---

[3]
BAsP2S PBE-GGA relaxed; formation energy without anion corrections = 0.817 eV per atom; E above lowest polymorph = 0.000 eV/atom
1.0
4.2116 0.0000 0.0000
0.0000 4.2116 0.0000
0.0000 0.0000 4.0846
B As P S
1 1 2 1
direct
0.0000 0.0000 0.0000
0.5000 0.5000 0.5000
0.0000 0.5000 0.0000
0.5000 0.0000 0.0000
0.0000 0.0000 0.5000

---

[4]
MgIrW2 PBE-GGA relaxed; energy of formation from the pure elements = 227 meV per atom
1.0
-1.5274 2.3503 4.4983
1.5274 -2.3503 4.4983
1.5274 2.3503 -4.4983
Mg Ir W
1 1 2
direct
0.0000 0.0000 0.0000
0.7467 0.2467 0.5000
0.2736 0.7736 0.5000
0.5016 0.5016 0.0000

---

[5]
NaSc3B PBE-GGA relaxed; energy of formation from the pure elements = 105 meV per atom; E above lowest polymorph = 0.000 eV/atom
1.0
4.8264 0.0000 0.0000
0.0000 4.8264 0.0000
0.0000 0.0000 4.8264
Na Sc B
1 3 1
direct
0.0000 0.0000 0.0000
0.0000 0.5000 0.5000
0.5000 0.0000 0.5000
0.5000 0.5000 0.0000
0.5000 0.5000 0.5000

---

[6]
DyY2Ir3 PBE-GGA relaxed; energy of formation from the pure elements = -794 meV per atom
1.0
4.8568 0.0000 0.0000
-2.4284 4.2061 0.0000
0.0000 0.0000 5.9444
Dy Y Ir
1 2 3
direct
0.0000 0.0000 0.0000
0.3333 0.6667 0.6666
0.6667 0.3333 0.3334
0.0000 0.0000 0.5000
0.3333 0.6667 0.1656
0.6667 0.3333 0.8344

----------

Density functional theory data (GGA-PBE) for a relaxed structure of MnSnSb2I.

Cell and atoms, written as CIF:
```
data_MnSnSb2I
_cell_length_a 5.0972
_cell_length_b 5.0972
_cell_length_c 5.8098
_cell_angle_alpha 90.00
_cell_angle_beta 90.00
_cell_angle_gamma 90.00
_space_group_name_H-M_alt 'P 4/m m m'
_space_group_IT_number 123
_space_group_name_Hall '-P 4 2'
loop_
_atom_site_label
_atom_site_fract_x
_atom_site_fract_y
_atom_site_fract_z
Mn1 0.0000 0.0000 0.0000
Sn1 0.5000 0.5000 0.5000
Sb1 0.0000 0.5000 0.0000
I1 0.0000 0.0000 0.5000
```

volume: 150.9 Å³/cell
uncorrected formation energy: 0.3642 eV/atom

----------

AcDyEr2: relaxed, GGA-PBE.

Summary:
Relative energy among the computed polymorphs = 0.058 eV/atom
Formation enthalpy at 0 K = 0.125 eV per atom

Unit cell a=5.793 b=5.793 c=5.793 alpha=60.00 beta=60.00 gamma=60.00
Atoms (fractional coordinates):
Ac1 0.500 0.500 0.500
Dy1 0.000 0.000 0.000
____________
(So much for the materials data)
Braddock is reluctant to return her advances. He is even more reluctant when he finds himself haunted by the shade of the Major-General, who does not approve of Braddock stepping into his life. Every day, the spectre grows more adept at making his fury known…
The setting is one part alternate history (Britain is a republic, not a monarchy, and North America is apparently a hellish dystopia1) and one part fantasy (the presence of ghosts). Some might want to call this novel steampunk. But most of the steampunk I’ve read is thrilled with the trappings of empire or at least seemingly unaware that there are any downsides to imperialism2. Mohamed sidesteps the delights of steampunk — the darling hats! the flashy uniforms! the lavish estates! — by choosing a protagonist who was not born to the ruling classes. Braddock is lucky by the standards of his class, but it is luck tempered by surviving a pointless charge with a crippled leg. Even when he is practically adopted by the Wickersleys, he remains an outsider. We see his new environment through his keen and critical eye.
I liked the setting; I liked Braddock; I liked the author’s delightful prose. I’m quite keen to get my hands on her upcoming novel, Beneath the Rising.

Beneath the Rising is not due out until March 2020. Until then, enjoy this short sample of her work.
Calculated crystals from another source follow =
____________
Compound: BeAs4Ru
Source: Alexandria via LeMat-Bulk
Functional: PBE
Structure: optimized geometry

```
data_BeAs4Ru
_chemical_formula_sum 'Be4 As16 Ru4'
_cell_length_a 7.5863
_cell_length_b 7.5863
_cell_length_c 7.5863
_cell_angle_alpha 90.00
_cell_angle_beta 90.00
_cell_angle_gamma 90.00
_symmetry_space_group_name_H-M 'F -4 3 m'
_symmetry_Int_Tables_number 216
_symmetry_space_group_name_Hall 'F -4 2 3'
loop_
_atom_site_label
_atom_site_type_symbol
_atom_site_fract_x
_atom_site_fract_y
_atom_site_fract_z
Be1 Be 0.0000 0.0000 0.0000
____________
The Apple-Tree Throne is available here (Amazon US), (Amazon Canada), (Amazon UK). It does not appear to be available from either Book Depository or Chapters-Indigo. In the case of Chapters-Indigo, it is available from Kobo, so I don’t know why CI’s search didn’t turn it up3.
1: Or so I assume from the name Americanada, which promises unspeakable horrors.
2: See, for example, the Griffiths’ Vampire Empire series, where the imperialists of Europe are pushed out of Europe and exiled to their equatorial holdings. One might expect the imperialists to notice parallels between how they were treated by the vampires and how they themselves treat their subjects. Nope.
3: This is not the first time I have had trouble finding a book authored by a POC on the Chapters-Indigo site. That said, the culprit is almost certainly a somewhat crappy corporate search engine. It’s just that 40 percent of the books for which I search are by POC so a similarly high fractions of the searches that don’t work involve works by POC.